What to do >
The reader should echo everything further down word for word.

Source >
~~~
Density functional theory data (ωB97M-V/def2-TZVPD) for a 2-piece molecular cluster, C3H4N2O3 overall at a distorted geometry.

```
12
Properties=species:S:1:pos:R:3:forces:R:3:mulliken_charge:R:1
N -1.1492 1.8127 -1.0991 0.27 0.33 -0.29 -0.4024
C -1.6365 0.8270 -0.7744 0.08 0.34 0.09 0.4177
N -2.3062 -0.2525 -0.3396 -0.33 0.78 1.54 0.0626
O -1.9845 -0.4183 1.0507 3.88 0.94 -2.53 -0.3404
O -2.1736 -1.3505 -1.0839 3.04 -2.39 -2.10 -0.3942
H -2.7595 -0.6926 1.4150 -3.74 -1.21 1.60 0.3124
H -1.1611 -1.5819 -1.4284 -3.12 1.25 1.76 0.3663
C 3.1040 0.5621 0.6290 -2.42 1.59 -1.86 -1.0356
C 2.0316 -0.0032 0.1744 -0.21 -1.25 0.89 0.7798
O 1.0703 -0.5912 -0.0816 -0.46 0.04 -0.68 -0.3267
H 3.8408 0.1019 1.1150 2.64 -1.92 1.73 0.3324
H 3.1240 1.5865 0.4229 0.37 1.50 -0.15 0.2281
```
Forces are in eV/Å.

gap between HOMO and LUMO = 9.975 eV
largest force on an atom = 4.725 eV/Å
HOMO energy = -0.3490 Ha
lowest unoccupied orbital energy = 0.48 eV



Density functional theory data (ωB97M-V/def2-TZVPD) for one molecule with the formula C3H4N2O3 at a distorted geometry.

```
12
Properties=species:S:1:pos:R:3:forces:R:3:mulliken_charge:R:1
H 2.7346 -0.3085 -0.5829 0.04 -0.36 -0.88 0.2390
N 2.1575 -1.1385 -0.4120 -3.21 1.08 1.66 -0.6672
C 0.9628 -0.6599 -0.1475 1.18 -2.19 1.46 0.7445
C -0.2734 -1.2274 0.6634 -0.64 1.41 -3.82 -0.8166
C -1.2597 -0.4122 0.0830 -1.10 3.09 0.39 0.7553
O -2.6304 -0.1472 -0.0689 1.42 -1.63 0.75 -0.4976
O -0.8095 0.8393 -0.4095 3.64 -2.16 0.11 -0.3578
N 0.6782 0.7163 -0.4704 -1.72 0.89 1.53 -0.1667
O 1.1760 1.3958 0.7852 3.51 1.67 -5.29 -0.4147
H -0.3798 -2.2227 1.1219 0.11 0.80 -0.55 0.3405
H -2.6891 0.7486 -0.5065 0.25 -1.31 0.68 0.4124
H 2.0163 1.8322 0.0960 -3.48 -1.29 3.96 0.4288
```
Forces are in eV/Å.

gap between HOMO and LUMO = 9.746 eV
largest force on an atom = 6.565 eV/Å
HOMO energy = -0.3470 Ha
lowest unoccupied orbital energy = 0.30 eV



Density functional theory data (ωB97M-V/def2-TZVPD) for C3H4N2O3 as an isolated structure at a distorted geometry.

```
12
Properties=species:S:1:pos:R:3:forces:R:3:mulliken_charge:R:1
C -0.4364 1.1806 -0.6347 0.42 0.20 1.70 -0.1998
C -0.6369 -0.0495 0.1403 -2.80 -1.67 4.61 0.1028
C 0.2575 -1.0389 0.3792 0.60 0.62 -1.73 0.6071
H 1.7494 0.8537 -0.3122 -4.48 1.31 -3.35 0.4095
H -0.9704 1.2311 -1.5394 -1.56 0.41 -0.82 0.2422
H -0.5240 2.1275 0.0070 0.06 -1.26 -1.02 0.2390
H 1.5234 -0.5117 -0.9258 -0.69 -0.38 -0.52 0.3995
N -1.6533 -0.2916 1.1798 1.58 -1.17 -0.70 -0.3147
N -1.3134 -1.3443 1.8619 -2.19 3.55 -0.53 -0.1631
O 0.8140 0.9307 -1.1771 6.75 1.68 2.12 -0.7194
O -0.1208 -1.7492 1.4927 2.91 -1.26 -2.79 -0.0819
O 1.3109 -1.3383 -0.4717 -0.59 -2.02 3.04 -0.5212
```
Forces are in eV/Å.

gap between HOMO and LUMO = 9.312 eV
largest force on an atom = 7.277 eV/Å
HOMO energy = -0.3574 Ha
lowest unoccupied orbital energy = -0.42 eV

=====

Density functional theory data (ωB97M-V/def2-TZVPD) for a 10-piece molecular cluster, C30H60O30 overall in a non-equilibrium geometry.

```
120
Properties=species:S:1:pos:R:3:forces:R:3:lowdin_charge:R:1
C 0.98662 -6.92367 3.81399 0.14 0.64 -1.40 -0.0607
O 1.22435 -8.16409 4.44283 -0.35 -1.83 0.62 -0.0052
C 0.25409 -9.10681 4.46163 -0.41 -1.08 -0.11 -0.4742
O -0.84629 -8.98398 3.96884 1.29 -0.44 0.86 0.1298
O 0.75909 -10.27560 5.09706 2.59 6.01 -0.68 -0.0250
C 0.05807 -11.37426 5.32018 -3.63 -2.64 -0.24 -0.1513
H 1.97043 -6.46863 3.69926 -0.11 0.36 1.04 0.0982
H 0.19743 -6.32251 4.26551 0.40 -0.04 0.45 0.1019
H 0.74346 -6.95236 2.75185 -0.60 -0.97 -0.09 0.0916
H -0.07531 -11.86880 4.35803 -0.05 -0.78 0.21 0.1025
H -0.94557 -11.20978 5.71229 -0.44 0.58 -0.28 0.0941
H 0.40696 -12.03250 6.11585 1.18 0.19 -0.38 0.0984
C 2.93267 3.02359 8.45314 -0.34 -0.49 -1.16 -0.0211
O 2.98756 3.07233 9.88651 2.22 1.69 -1.77 0.0369
C 2.36130 2.25656 10.63787 -4.04 -2.72 1.85 -0.5894
O 1.36733 1.58313 10.30733 2.46 1.14 0.91 0.0819
O 2.86826 2.34500 11.91246 0.54 0.14 -1.09 -0.0295
C 2.23252 1.71458 13.03604 -0.17 -0.23 -0.70 -0.0391
~~~

Outcome >
Density functional theory data (ωB97M-V/def2-TZVPD) for a 2-piece molecular cluster, C3H4N2O3 overall at a distorted geometry.

```
12
Properties=species:S:1:pos:R:3:forces:R:3:mulliken_charge:R:1
N -1.1492 1.8127 -1.0991 0.27 0.33 -0.29 -0.4024
C -1.6365 0.8270 -0.7744 0.08 0.34 0.09 0.4177
N -2.3062 -0.2525 -0.3396 -0.33 0.78 1.54 0.0626
O -1.9845 -0.4183 1.0507 3.88 0.94 -2.53 -0.3404
O -2.1736 -1.3505 -1.0839 3.04 -2.39 -2.10 -0.3942
H -2.7595 -0.6926 1.4150 -3.74 -1.21 1.60 0.3124
H -1.1611 -1.5819 -1.4284 -3.12 1.25 1.76 0.3663
C 3.1040 0.5621 0.6290 -2.42 1.59 -1.86 -1.0356
C 2.0316 -0.0032 0.1744 -0.21 -1.25 0.89 0.7798
O 1.0703 -0.5912 -0.0816 -0.46 0.04 -0.68 -0.3267
H 3.8408 0.1019 1.1150 2.64 -1.92 1.73 0.3324
H 3.1240 1.5865 0.4229 0.37 1.50 -0.15 0.2281
```
Forces are in eV/Å.

gap between HOMO and LUMO = 9.975 eV
largest force on an atom = 4.725 eV/Å
HOMO energy = -0.3490 Ha
lowest unoccupied orbital energy = 0.48 eV



Density functional theory data (ωB97M-V/def2-TZVPD) for one molecule with the formula C3H4N2O3 at a distorted geometry.

```
12
Properties=species:S:1:pos:R:3:forces:R:3:mulliken_charge:R:1
H 2.7346 -0.3085 -0.5829 0.04 -0.36 -0.88 0.2390
N 2.1575 -1.1385 -0.4120 -3.21 1.08 1.66 -0.6672
C 0.9628 -0.6599 -0.1475 1.18 -2.19 1.46 0.7445
C -0.2734 -1.2274 0.6634 -0.64 1.41 -3.82 -0.8166
C -1.2597 -0.4122 0.0830 -1.10 3.09 0.39 0.7553
O -2.6304 -0.1472 -0.0689 1.42 -1.63 0.75 -0.4976
O -0.8095 0.8393 -0.4095 3.64 -2.16 0.11 -0.3578
N 0.6782 0.7163 -0.4704 -1.72 0.89 1.53 -0.1667
O 1.1760 1.3958 0.7852 3.51 1.67 -5.29 -0.4147
H -0.3798 -2.2227 1.1219 0.11 0.80 -0.55 0.3405
H -2.6891 0.7486 -0.5065 0.25 -1.31 0.68 0.4124
H 2.0163 1.8322 0.0960 -3.48 -1.29 3.96 0.4288
```
Forces are in eV/Å.

gap between HOMO and LUMO = 9.746 eV
largest force on an atom = 6.565 eV/Å
HOMO energy = -0.3470 Ha
lowest unoccupied orbital energy = 0.30 eV



Density functional theory data (ωB97M-V/def2-TZVPD) for C3H4N2O3 as an isolated structure at a distorted geometry.

```
12
Properties=species:S:1:pos:R:3:forces:R:3:mulliken_charge:R:1
C -0.4364 1.1806 -0.6347 0.42 0.20 1.70 -0.1998
C -0.6369 -0.0495 0.1403 -2.80 -1.67 4.61 0.1028
C 0.2575 -1.0389 0.3792 0.60 0.62 -1.73 0.6071
H 1.7494 0.8537 -0.3122 -4.48 1.31 -3.35 0.4095
H -0.9704 1.2311 -1.5394 -1.56 0.41 -0.82 0.2422
H -0.5240 2.1275 0.0070 0.06 -1.26 -1.02 0.2390
H 1.5234 -0.5117 -0.9258 -0.69 -0.38 -0.52 0.3995
N -1.6533 -0.2916 1.1798 1.58 -1.17 -0.70 -0.3147
N -1.3134 -1.3443 1.8619 -2.19 3.55 -0.53 -0.1631
O 0.8140 0.9307 -1.1771 6.75 1.68 2.12 -0.7194
O -0.1208 -1.7492 1.4927 2.91 -1.26 -2.79 -0.0819
O 1.3109 -1.3383 -0.4717 -0.59 -2.02 3.04 -0.5212
```
Forces are in eV/Å.

gap between HOMO and LUMO = 9.312 eV
largest force on an atom = 7.277 eV/Å
HOMO energy = -0.3574 Ha
lowest unoccupied orbital energy = -0.42 eV

=====

Density functional theory data (ωB97M-V/def2-TZVPD) for a 10-piece molecular cluster, C30H60O30 overall in a non-equilibrium geometry.

```
120
Properties=species:S:1:pos:R:3:forces:R:3:lowdin_charge:R:1
C 0.98662 -6.92367 3.81399 0.14 0.64 -1.40 -0.0607
O 1.22435 -8.16409 4.44283 -0.35 -1.83 0.62 -0.0052
C 0.25409 -9.10681 4.46163 -0.41 -1.08 -0.11 -0.4742
O -0.84629 -8.98398 3.96884 1.29 -0.44 0.86 0.1298
O 0.75909 -10.27560 5.09706 2.59 6.01 -0.68 -0.0250
C 0.05807 -11.37426 5.32018 -3.63 -2.64 -0.24 -0.1513
H 1.97043 -6.46863 3.69926 -0.11 0.36 1.04 0.0982
H 0.19743 -6.32251 4.26551 0.40 -0.04 0.45 0.1019
H 0.74346 -6.95236 2.75185 -0.60 -0.97 -0.09 0.0916
H -0.07531 -11.86880 4.35803 -0.05 -0.78 0.21 0.1025
H -0.94557 -11.20978 5.71229 -0.44 0.58 -0.28 0.0941
H 0.40696 -12.03250 6.11585 1.18 0.19 -0.38 0.0984
C 2.93267 3.02359 8.45314 -0.34 -0.49 -1.16 -0.0211
O 2.98756 3.07233 9.88651 2.22 1.69 -1.77 0.0369
C 2.36130 2.25656 10.63787 -4.04 -2.72 1.85 -0.5894
O 1.36733 1.58313 10.30733 2.46 1.14 0.91 0.0819
O 2.86826 2.34500 11.91246 0.54 0.14 -1.09 -0.0295
C 2.23252 1.71458 13.03604 -0.17 -0.23 -0.70 -0.0391